one.
{
  "formula": "ScUS2",
  "functional": "PBE",
  "state": "optimized geometry",
  "lattice": [[3.781, 0.000, 0.000], [0.000, 3.781, 0.000], [0.000, 0.000, 5.314]],
  "species": ["Sc", "U", "S", "S"],
  "frac_coords": [[0.000, 0.000, 0.000], [0.500, 0.500, 0.500], [0.000, 0.000, 0.500], [0.500, 0.500, 0.000]]
}

---

two.
{
  "formula": "ScUS2",
  "functional": "PBE",
  "state": "optimized geometry",
  "lattice": [[-2.673, 2.673, 5.330], [2.673, -2.673, 5.330], [2.673, 2.673, -5.330]],
  "species": ["Sc", "Sc", "U", "U", "S", "S", "S", "S"],
  "frac_coords": [[0.375, 0.625, 0.750], [0.625, 0.375, 0.250], [0.125, 0.875, 0.250], [0.875, 0.125, 0.750], [0.130, 0.380, 0.750], [0.380, 0.130, 0.250], [0.620, 0.870, 0.750], [0.870, 0.620, 0.250]]
}

---

According to the calculations, the structures order from most to least stable as one, two.

---

one.
{
  "formula": "USiS",
  "functional": "PBE",
  "state": "optimized geometry",
  "magnetic_moment_mub_per_atom": 0.615,
  "lattice": [[3.763, 0.000, 0.000], [0.000, 3.763, 0.000], [0.000, 0.000, 8.005]],
  "species": ["U", "U", "Si", "Si", "S", "S"],
  "frac_coords": [[0.250, 0.250, 0.206], [0.750, 0.750, 0.794], [0.250, 0.750, 0.500], [0.750, 0.250, 0.500], [0.250, 0.250, 0.855], [0.750, 0.750, 0.145]]
}

---

two.
{
  "formula": "USiS",
  "functional": "PBE",
  "state": "optimized geometry",
  "magnetic_moment_mub_per_atom": 0.000,
  "lattice": [[4.063, 0.000, 0.000], [0.000, 4.063, 0.000], [0.000, 0.000, 7.161]],
  "species": ["U", "U", "Si", "Si", "S", "S"],
  "frac_coords": [[0.250, 0.250, 0.249], [0.750, 0.750, 0.751], [0.250, 0.250, 0.635], [0.750, 0.750, 0.365], [0.250, 0.750, 0.000], [0.750, 0.250, 0.000]]
}

---

According to the calculations, the structures order from most to least stable as one, two.

---

one.
{
  "formula": "Sm3S4",
  "functional": "PBE",
  "state": "optimized geometry",
  "magnetic_moment_mub_per_atom": 0.120,
  "lattice": [[-4.939, 4.939, 4.939], [4.939, -4.939, 4.939], [4.939, 4.939, -4.939]],
  "species": ["Sm", "Sm", "Sm", "Sm", "Sm", "Sm", "S", "S", "S", "S", "S", "S", "S", "S"],
  "frac_coords": [[0.125, 0.875, 0.250], [0.250, 0.125, 0.875], [0.375, 0.625, 0.750], [0.625, 0.750, 0.375], [0.750, 0.375, 0.625], [0.875, 0.250, 0.125], [0.000, 0.438, 0.500], [0.000, 0.938, 0.500], [0.062, 0.062, 0.062], [0.438, 0.500, 0.000], [0.500, 0.000, 0.438], [0.500, 0.000, 0.938], [0.562, 0.562, 0.562], [0.938, 0.500, 0.000]]
}

---

two.
{
  "formula": "Sm3S4",
  "functional": "PBE",
  "state": "optimized geometry",
  "lattice": [[-4.239, 4.239, 4.239], [4.239, -4.239, 4.239], [4.239, 4.239, -4.239]],
  "species": ["Sm", "Sm", "Sm", "Sm", "Sm", "Sm", "S", "S", "S", "S", "S", "S", "S", "S"],
  "frac_coords": [[0.125, 0.750, 0.875], [0.250, 0.625, 0.375], [0.375, 0.250, 0.625], [0.625, 0.375, 0.250], [0.750, 0.875, 0.125], [0.875, 0.125, 0.750], [0.000, 0.353, 0.500], [0.000, 0.853, 0.500], [0.147, 0.147, 0.147], [0.353, 0.500, 0.000], [0.500, 0.000, 0.353], [0.500, 0.000, 0.853], [0.647, 0.647, 0.647], [0.853, 0.500, 0.000]]
}

---

According to the calculations, the structures order from most to least stable as two, one.

---

one.
{
  "formula": "Tl4Sn5S12",
  "functional": "PBE",
  "state": "optimized geometry",
  "magnetic_moment_mub_per_atom": 0.000,
  "lattice": [[7.504, 0.000, 0.000], [-3.687, 9.161, 0.000], [-0.037, -4.860, 16.674]],
  "species": ["Tl", "Tl", "Tl", "Tl", "Tl", "Tl", "Tl", "Tl", "Sn", "Sn", "Sn", "Sn", "Sn", "Sn", "Sn", "Sn", "Sn", "Sn", "S", "S", "S", "S", "S", "S", "S", "S", "S", "S", "S", "S", "S", "S", "S", "S", "S", "S", "S", "S", "S", "S", "S", "S"],

Next, copy the calculation results above unchanged.

one.
{
  "formula": "ScUS2",
  "functional": "PBE",
  "state": "optimized geometry",
  "lattice": [[3.781, 0.000, 0.000], [0.000, 3.781, 0.000], [0.000, 0.000, 5.314]],
  "species": ["Sc", "U", "S", "S"],
  "frac_coords": [[0.000, 0.000, 0.000], [0.500, 0.500, 0.500], [0.000, 0.000, 0.500], [0.500, 0.500, 0.000]]
}

---

two.
{
  "formula": "ScUS2",
  "functional": "PBE",
  "state": "optimized geometry",
  "lattice": [[-2.673, 2.673, 5.330], [2.673, -2.673, 5.330], [2.673, 2.673, -5.330]],
  "species": ["Sc", "Sc", "U", "U", "S", "S", "S", "S"],
  "frac_coords": [[0.375, 0.625, 0.750], [0.625, 0.375, 0.250], [0.125, 0.875, 0.250], [0.875, 0.125, 0.750], [0.130, 0.380, 0.750], [0.380, 0.130, 0.250], [0.620, 0.870, 0.750], [0.870, 0.620, 0.250]]
}

---

According to the calculations, the structures order from most to least stable as one, two.

---

one.
{
  "formula": "USiS",
  "functional": "PBE",
  "state": "optimized geometry",
  "magnetic_moment_mub_per_atom": 0.615,
  "lattice": [[3.763, 0.000, 0.000], [0.000, 3.763, 0.000], [0.000, 0.000, 8.005]],
  "species": ["U", "U", "Si", "Si", "S", "S"],
  "frac_coords": [[0.250, 0.250, 0.206], [0.750, 0.750, 0.794], [0.250, 0.750, 0.500], [0.750, 0.250, 0.500], [0.250, 0.250, 0.855], [0.750, 0.750, 0.145]]
}

---

two.
{
  "formula": "USiS",
  "functional": "PBE",
  "state": "optimized geometry",
  "magnetic_moment_mub_per_atom": 0.000,
  "lattice": [[4.063, 0.000, 0.000], [0.000, 4.063, 0.000], [0.000, 0.000, 7.161]],
  "species": ["U", "U", "Si", "Si", "S", "S"],
  "frac_coords": [[0.250, 0.250, 0.249], [0.750, 0.750, 0.751], [0.250, 0.250, 0.635], [0.750, 0.750, 0.365], [0.250, 0.750, 0.000], [0.750, 0.250, 0.000]]
}

---

According to the calculations, the structures order from most to least stable as one, two.

---

one.
{
  "formula": "Sm3S4",
  "functional": "PBE",
  "state": "optimized geometry",
  "magnetic_moment_mub_per_atom": 0.120,
  "lattice": [[-4.939, 4.939, 4.939], [4.939, -4.939, 4.939], [4.939, 4.939, -4.939]],
  "species": ["Sm", "Sm", "Sm", "Sm", "Sm", "Sm", "S", "S", "S", "S", "S", "S", "S", "S"],
  "frac_coords": [[0.125, 0.875, 0.250], [0.250, 0.125, 0.875], [0.375, 0.625, 0.750], [0.625, 0.750, 0.375], [0.750, 0.375, 0.625], [0.875, 0.250, 0.125], [0.000, 0.438, 0.500], [0.000, 0.938, 0.500], [0.062, 0.062, 0.062], [0.438, 0.500, 0.000], [0.500, 0.000, 0.438], [0.500, 0.000, 0.938], [0.562, 0.562, 0.562], [0.938, 0.500, 0.000]]
}

---

two.
{
  "formula": "Sm3S4",
  "functional": "PBE",
  "state": "optimized geometry",
  "lattice": [[-4.239, 4.239, 4.239], [4.239, -4.239, 4.239], [4.239, 4.239, -4.239]],
  "species": ["Sm", "Sm", "Sm", "Sm", "Sm", "Sm", "S", "S", "S", "S", "S", "S", "S", "S"],
  "frac_coords": [[0.125, 0.750, 0.875], [0.250, 0.625, 0.375], [0.375, 0.250, 0.625], [0.625, 0.375, 0.250], [0.750, 0.875, 0.125], [0.875, 0.125, 0.750], [0.000, 0.353, 0.500], [0.000, 0.853, 0.500], [0.147, 0.147, 0.147], [0.353, 0.500, 0.000], [0.500, 0.000, 0.353], [0.500, 0.000, 0.853], [0.647, 0.647, 0.647], [0.853, 0.500, 0.000]]
}

---

According to the calculations, the structures order from most to least stable as two, one.

---

one.
{
  "formula": "Tl4Sn5S12",
  "functional": "PBE",
  "state": "optimized geometry",
  "magnetic_moment_mub_per_atom": 0.000,
  "lattice": [[7.504, 0.000, 0.000], [-3.687, 9.161, 0.000], [-0.037, -4.860, 16.674]],
  "species": ["Tl", "Tl", "Tl", "Tl", "Tl", "Tl", "Tl", "Tl", "Sn", "Sn", "Sn", "Sn", "Sn", "Sn", "Sn", "Sn", "Sn", "Sn", "S", "S", "S", "S", "S", "S", "S", "S", "S", "S", "S", "S", "S", "S", "S", "S", "S", "S", "S", "S", "S", "S", "S", "S"],